-- Activity --
Your job: duplicate everything underneath verbatim.

-- File --
+++
[1]
A plane-wave DFT calculation with PBE+U was carried out for a relaxed structure of Li3Mo3P4O16.

The calculation puts the total magnetization at 9.00 μB/f.u. The space-group type is P2_1/c (14). The energy relative to the lowest polymorph listed for this composition is 0.000 eV per atom. The raw total energy comes out at -0.25961 Ha/atom.

Cell lengths 5.1042, 8.7382, 13.7675 Å; angles 84.68, 90.00, 90.00 degrees
Last column: nearest neighbours and their distance in Å.
Fractional coordinates of all 52 atoms:
1 P 0.4960 0.1183 0.3512  4 O 1.52-1.59
2 P 0.5040 0.8817 0.6488  4 O 1.52-1.59
3 P 0.4988 0.8219 0.1131  4 O 1.51-1.57
4 P 0.0040 0.6183 0.8512  4 O 1.52-1.59
5 P 0.9960 0.3817 0.1488  4 O 1.52-1.59
6 P 0.0012 0.3219 0.6131  4 O 1.51-1.57
7 P 0.9988 0.6781 0.3869  4 O 1.51-1.57
8 P 0.5012 0.1781 0.8869  4 O 1.51-1.57
9 O 0.5134 0.2591 0.9829  1 P 1.56
10 O 0.7704 0.5589 0.3856  1 P 1.56
11 O 0.2545 0.5781 0.3950  1 P 1.57
12 O 0.0134 0.2409 0.5171  1 P 1.56
13 O 0.1533 0.4889 0.0777  1 P 1.52
14 O 0.0325 0.2112 0.1270  1 P 1.56
15 O 0.7296 0.0589 0.8856  1 P 1.56
16 O 0.7455 0.4219 0.6050  1 P 1.57
17 O 0.4017 0.9000 0.7534  1 P 1.55
18 O 0.7545 0.9219 0.1050  1 P 1.57
19 O 0.9017 0.6000 0.7466  1 P 1.55
20 O 0.2704 0.9411 0.1144  1 P 1.56
21 O 0.2455 0.0781 0.8950  1 P 1.57
22 O 0.4866 0.7409 0.0171  1 P 1.56
23 O 0.5325 0.2888 0.3730  1 P 1.56
24 O 0.2296 0.4411 0.6144  1 P 1.56
25 O 0.6945 0.4283 0.1444  1 P 1.59
26 O 0.0983 0.4000 0.2534  1 P 1.55
27 O 0.3055 0.5717 0.8556  1 P 1.59
28 O 0.4675 0.7112 0.6270  1 P 1.56
29 O 0.8467 0.5111 0.9223  1 P 1.52
30 O 0.0089 0.2116 0.7046  1 P 1.51
31 O 0.3467 0.9889 0.5777  1 P 1.52
32 O 0.9866 0.7591 0.4829  1 P 1.56
33 O 0.1945 0.0717 0.3556  1 P 1.59
34 O 0.5089 0.2884 0.7954  1 P 1.51
35 O 0.5983 0.1000 0.2466  1 P 1.55
36 O 0.6533 0.0111 0.4223  1 P 1.52
37 O 0.9911 0.7884 0.2954  1 P 1.51
38 O 0.8055 0.9283 0.6444  1 P 1.59
39 O 0.4911 0.7116 0.2046  1 P 1.51
40 O 0.9675 0.7888 0.8730  1 P 1.56
41 Li 0.5000 0.5000 0.5000  4 O 1.99-2.12
42 Li 0.9476 0.3500 0.3875  4 O 1.97-2.20
43 Li 0.4476 0.1500 0.1125  4 O 1.97-2.20
44 Li 0.0524 0.6500 0.6125  4 O 1.97-2.20
45 Li 0.5524 0.8500 0.8875  4 O 1.97-2.20
46 Li 0.0000 0.0000 0.0000  4 O 1.99-2.12
47 Mo 0.5000 0.5000 0.0000  6 O 2.07-2.26
48 Mo 0.9753 0.0011 0.2181  5 O 2.06-2.17
49 Mo 0.0000 0.0000 0.5000  6 O 2.07-2.26
50 Mo 0.5247 0.5011 0.7181  5 O 2.06-2.17
51 Mo 0.0247 0.9989 0.7819  5 O 2.06-2.17
52 Mo 0.4753 0.4989 0.2819  5 O 2.06-2.17

***

[2]
A plane-wave DFT calculation with PBE+U was carried out for a relaxed structure of LuMnO3.

The calculation puts the total magnetization at 4.00 μB/f.u. The space-group type is Pnma (62). The raw total energy comes out at -0.29472 Ha/atom.

Cell lengths 5.2418, 5.7749, 7.4440 Å; angles 90.00, 90.00, 90.00 degrees
Last column: nearest neighbours and their distance in Å.
Fractional coordinates of all 20 atoms:
1 Mn 0.5000 0.0000 0.5000  4 O 1.93-2.00
2 Mn 0.0000 0.5000 0.0000  4 O 1.93-2.00
3 Mn 0.5000 0.0000 0.0000  4 O 1.93-2.00
4 Mn 0.0000 0.5000 0.5000  4 O 1.93-2.00
5 O 0.3691 0.9497 0.2500  2 Mn 2.00, 1 Lu 2.18
6 O 0.8691 0.5503 0.7500  2 Mn 2.00, 1 Lu 2.18
7 O 0.6309 0.0503 0.7500  2 Mn 2.00, 1 Lu 2.18
8 O 0.8033 0.8274 0.0621  1 Mn 1.93
9 O 0.6967 0.3274 0.0621  1 Mn 1.93
10 O 0.6967 0.3274 0.4379  1 Mn 1.93
11 O 0.1309 0.4497 0.2500  2 Mn 2.00, 1 Lu 2.18
12 O 0.1967 0.1726 0.9379  1 Mn 1.93
13 O 0.3033 0.6726 0.5621  1 Mn 1.93
14 O 0.3033 0.6726 0.9379  1 Mn 1.93
15 O 0.8033 0.8274 0.4379  1 Mn 1.93
16 O 0.1967 0.1726 0.5621  1 Mn 1.93
17 Lu 0.5207 0.5835 0.2500  4 O 2.18-2.26
18 Lu 0.0207 0.9165 0.7500  4 O 2.18-2.26
19 Lu 0.4793 0.4165 0.7500  4 O 2.18-2.26
20 Lu 0.9793 0.0835 0.2500  4 O 2.18-2.26

***

[3]
A plane-wave DFT calculation with PBE+U was carried out for a relaxed structure of HoCrO4.

The space-group type is I4_1/a (88). The raw total energy comes out at -0.28076 Ha/atom.

Cell lengths 5.0405, 5.0405, 6.6886 Å; angles 112.14, 112.14, 90.00 degrees
+++

-- Here it is --
[1]
A plane-wave DFT calculation with PBE+U was carried out for a relaxed structure of Li3Mo3P4O16.

The calculation puts the total magnetization at 9.00 μB/f.u. The space-group type is P2_1/c (14). The energy relative to the lowest polymorph listed for this composition is 0.000 eV per atom. The raw total energy comes out at -0.25961 Ha/atom.

Cell lengths 5.1042, 8.7382, 13.7675 Å; angles 84.68, 90.00, 90.00 degrees
Last column: nearest neighbours and their distance in Å.
Fractional coordinates of all 52 atoms:
1 P 0.4960 0.1183 0.3512  4 O 1.52-1.59
2 P 0.5040 0.8817 0.6488  4 O 1.52-1.59
3 P 0.4988 0.8219 0.1131  4 O 1.51-1.57
4 P 0.0040 0.6183 0.8512  4 O 1.52-1.59
5 P 0.9960 0.3817 0.1488  4 O 1.52-1.59
6 P 0.0012 0.3219 0.6131  4 O 1.51-1.57
7 P 0.9988 0.6781 0.3869  4 O 1.51-1.57
8 P 0.5012 0.1781 0.8869  4 O 1.51-1.57
9 O 0.5134 0.2591 0.9829  1 P 1.56
10 O 0.7704 0.5589 0.3856  1 P 1.56
11 O 0.2545 0.5781 0.3950  1 P 1.57
12 O 0.0134 0.2409 0.5171  1 P 1.56
13 O 0.1533 0.4889 0.0777  1 P 1.52
14 O 0.0325 0.2112 0.1270  1 P 1.56
15 O 0.7296 0.0589 0.8856  1 P 1.56
16 O 0.7455 0.4219 0.6050  1 P 1.57
17 O 0.4017 0.9000 0.7534  1 P 1.55
18 O 0.7545 0.9219 0.1050  1 P 1.57
19 O 0.9017 0.6000 0.7466  1 P 1.55
20 O 0.2704 0.9411 0.1144  1 P 1.56
21 O 0.2455 0.0781 0.8950  1 P 1.57
22 O 0.4866 0.7409 0.0171  1 P 1.56
23 O 0.5325 0.2888 0.3730  1 P 1.56
24 O 0.2296 0.4411 0.6144  1 P 1.56
25 O 0.6945 0.4283 0.1444  1 P 1.59
26 O 0.0983 0.4000 0.2534  1 P 1.55
27 O 0.3055 0.5717 0.8556  1 P 1.59
28 O 0.4675 0.7112 0.6270  1 P 1.56
29 O 0.8467 0.5111 0.9223  1 P 1.52
30 O 0.0089 0.2116 0.7046  1 P 1.51
31 O 0.3467 0.9889 0.5777  1 P 1.52
32 O 0.9866 0.7591 0.4829  1 P 1.56
33 O 0.1945 0.0717 0.3556  1 P 1.59
34 O 0.5089 0.2884 0.7954  1 P 1.51
35 O 0.5983 0.1000 0.2466  1 P 1.55
36 O 0.6533 0.0111 0.4223  1 P 1.52
37 O 0.9911 0.7884 0.2954  1 P 1.51
38 O 0.8055 0.9283 0.6444  1 P 1.59
39 O 0.4911 0.7116 0.2046  1 P 1.51
40 O 0.9675 0.7888 0.8730  1 P 1.56
41 Li 0.5000 0.5000 0.5000  4 O 1.99-2.12
42 Li 0.9476 0.3500 0.3875  4 O 1.97-2.20
43 Li 0.4476 0.1500 0.1125  4 O 1.97-2.20
44 Li 0.0524 0.6500 0.6125  4 O 1.97-2.20
45 Li 0.5524 0.8500 0.8875  4 O 1.97-2.20
46 Li 0.0000 0.0000 0.0000  4 O 1.99-2.12
47 Mo 0.5000 0.5000 0.0000  6 O 2.07-2.26
48 Mo 0.9753 0.0011 0.2181  5 O 2.06-2.17
49 Mo 0.0000 0.0000 0.5000  6 O 2.07-2.26
50 Mo 0.5247 0.5011 0.7181  5 O 2.06-2.17
51 Mo 0.0247 0.9989 0.7819  5 O 2.06-2.17
52 Mo 0.4753 0.4989 0.2819  5 O 2.06-2.17

***

[2]
A plane-wave DFT calculation with PBE+U was carried out for a relaxed structure of LuMnO3.

The calculation puts the total magnetization at 4.00 μB/f.u. The space-group type is Pnma (62). The raw total energy comes out at -0.29472 Ha/atom.

Cell lengths 5.2418, 5.7749, 7.4440 Å; angles 90.00, 90.00, 90.00 degrees
Last column: nearest neighbours and their distance in Å.
Fractional coordinates of all 20 atoms:
1 Mn 0.5000 0.0000 0.5000  4 O 1.93-2.00
2 Mn 0.0000 0.5000 0.0000  4 O 1.93-2.00
3 Mn 0.5000 0.0000 0.0000  4 O 1.93-2.00
4 Mn 0.0000 0.5000 0.5000  4 O 1.93-2.00
5 O 0.3691 0.9497 0.2500  2 Mn 2.00, 1 Lu 2.18
6 O 0.8691 0.5503 0.7500  2 Mn 2.00, 1 Lu 2.18
7 O 0.6309 0.0503 0.7500  2 Mn 2.00, 1 Lu 2.18
8 O 0.8033 0.8274 0.0621  1 Mn 1.93
9 O 0.6967 0.3274 0.0621  1 Mn 1.93
10 O 0.6967 0.3274 0.4379  1 Mn 1.93
11 O 0.1309 0.4497 0.2500  2 Mn 2.00, 1 Lu 2.18
12 O 0.1967 0.1726 0.9379  1 Mn 1.93
13 O 0.3033 0.6726 0.5621  1 Mn 1.93
14 O 0.3033 0.6726 0.9379  1 Mn 1.93
15 O 0.8033 0.8274 0.4379  1 Mn 1.93
16 O 0.1967 0.1726 0.5621  1 Mn 1.93
17 Lu 0.5207 0.5835 0.2500  4 O 2.18-2.26
18 Lu 0.0207 0.9165 0.7500  4 O 2.18-2.26
19 Lu 0.4793 0.4165 0.7500  4 O 2.18-2.26
20 Lu 0.9793 0.0835 0.2500  4 O 2.18-2.26

***

[3]
A plane-wave DFT calculation with PBE+U was carried out for a relaxed structure of HoCrO4.

The space-group type is I4_1/a (88). The raw total energy comes out at -0.28076 Ha/atom.

Cell lengths 5.0405, 5.0405, 6.6886 Å; angles 112.14, 112.14, 90.00 degrees